Brief
Print only the last part of the data underneath, starting with the line that has "O2'".

Listing
'''
(1)
The following is a PBE calculation of an optimized crystal structure of Ag5TePO4, from Materials Project.

Output
The calculated density is 6.70 g/cm3. The calculation puts the formation energy at -1.11 eV per atom.

```
data_Ag5TePO4
_chemical_formula_sum 'Ag10 Te2 P2 O8'
_cell_length_a 7.1449
_cell_length_b 7.1449
_cell_length_c 7.3997
_cell_angle_alpha 90.00
_cell_angle_beta 90.00
_cell_angle_gamma 90.00
_space_group_name_H-M_alt 'P 4/n m m'
_space_group_IT_number 129
loop_
_space_group_symop_operation_xyz
'x,y,z'
'-x,-y,-z'
'-y+1/2,x,z'
'y+1/2,-x,-z'
'-x+1/2,-y+1/2,z'
'x+1/2,y+1/2,-z'
'y,-x+1/2,z'
'-y,x+1/2,-z'
'x+1/2,-y,-z'
'-x+1/2,y,z'
'-y,-x,-z'
'y,x,z'
'-x,y+1/2,-z'
'x,-y+1/2,z'
'y+1/2,x+1/2,-z'
'-y+1/2,-x+1/2,z'
loop_
_atom_site_label
_atom_site_fract_x
_atom_site_fract_y
_atom_site_fract_z
_atom_site_occupancy
Ag1 0.0224 0.0224 0.2003 1
Ag2 0.2500 0.2500 0.4618 1
Te1 0.2500 0.2500 0.0055 1
P1 0.2500 0.7500 0.5000 1
O1 0.0696 0.7500 0.3805 1
```

=====

(2)
The following is a PBE calculation of an optimized crystal structure of ThAgPO, from Materials Project.

Output
The calculated density is 9.14 g/cm3. The calculation puts the formation energy at -2.05 eV per atom.

```
data_ThAgPO
_chemical_formula_sum 'Th2 Ag2 P2 O2'
_cell_length_a 3.9934
_cell_length_b 3.9934
_cell_length_c 8.8107
_cell_angle_alpha 90.00
_cell_angle_beta 90.00
_cell_angle_gamma 90.00
_space_group_name_H-M_alt 'P 4/n m m'
_space_group_IT_number 129
loop_
_space_group_symop_operation_xyz
'x,y,z'
'-x,-y,-z'
'-y+1/2,x,z'
'y+1/2,-x,-z'
'-x+1/2,-y+1/2,z'
'x+1/2,y+1/2,-z'
'y,-x+1/2,z'
'-y,x+1/2,-z'
'x+1/2,-y,-z'
'-x+1/2,y,z'
'-y,-x,-z'
'y,x,z'
'-x,y+1/2,-z'
'x,-y+1/2,z'
'y+1/2,x+1/2,-z'
'-y+1/2,-x+1/2,z'
loop_
_atom_site_label
_atom_site_fract_x
_atom_site_fract_y
_atom_site_fract_z
_atom_site_occupancy
Th1 0.2500 0.2500 0.1539 1
Ag1 0.2500 0.7500 0.5000 1
P1 0.2500 0.2500 0.7023 1
O1 0.2500 0.7500 0.0000 1
```

=====

(3)
The following is a PBE calculation of an optimized crystal structure of Th2AgP2O, from Materials Project.

Output
The calculated density is 6.47 g/cm3. The calculation puts the formation energy at -0.33 eV per atom.

```
data_Th2AgP2O
_chemical_formula_sum 'Th2 Ag1 P2 O1'
_cell_length_a 3.3854
_cell_length_b 3.3854
_cell_length_c 14.5459
_cell_angle_alpha 90.00
_cell_angle_beta 90.00
_cell_angle_gamma 90.00
_space_group_name_H-M_alt 'P 4/m m m'
_space_group_IT_number 123
_space_group_name_Hall '-P 4 2'
loop_
_atom_site_label
_atom_site_fract_x
_atom_site_fract_y
_atom_site_fract_z
_atom_site_occupancy
Th1 0.0000 0.0000 0.1466 1
Ag1 0.0000 0.0000 0.5000 1
P1 0.0000 0.0000 0.3367 1
O1 0.0000 0.0000 0.0000 1
```

=====

(4)
The following is a PBE calculation of an optimized crystal structure of ZnAg3P3O13, from Materials Project.

Output
The calculated density is 4.22 g/cm3. The calculation puts the formation energy at -1.62 eV per atom.

```
data_ZnAg3P3O13
_chemical_formula_sum 'Zn2 Ag6 P6 O26'
_cell_length_a 7.8872
_cell_length_b 6.4457
_cell_length_c 10.7735
_cell_angle_alpha 90.00
_cell_angle_beta 97.04
_cell_angle_gamma 90.00
_space_group_name_H-M_alt 'P 1 21/m 1'
_space_group_IT_number 11
loop_
_space_group_symop_operation_xyz
'x,y,z'
'-x,-y,-z'
'-x,y+1/2,-z'
'x,-y+1/2,z'
loop_
_atom_site_label
_atom_site_fract_x
_atom_site_fract_y
_atom_site_fract_z
_atom_site_occupancy
Zn1 0.1045 0.2500 0.1441 1
Ag1 0.1715 0.2500 0.7803 1
Ag2 0.2448 0.7500 0.4340 1
Ag3 0.5000 0.0000 0.0000 1
P1 0.1687 0.7500 0.1182 1
P2 0.2391 0.7500 0.7570 1
P3 0.2752 0.2500 0.4988 1
O1 0.0006 0.2500 0.9694 1
O2 0.1121 0.5716 0.7818 1
O3 0.1116 0.7500 0.2531 1
O4 0.1224 0.2500 0.5786 1
O5 0.2504 0.0680 0.4026 1
O6 0.2657 0.5408 0.1079 1
O7 0.3072 0.7500 0.6302 1
O8 0.3898 0.2500 0.9084 1
O9 0.3974 0.7500 0.8565 1
O10 0.4402 0.2500 0.5868 1
```

=====

(5)
The following is a PBE calculation of an optimized crystal structure of AgPbO3, from Materials Project.

Output
'''

Worked solution
_chemical_formula_sum 'Th2 Ag2 P2 O2'
_cell_length_a 3.9934
_cell_length_b 3.9934
_cell_length_c 8.8107
_cell_angle_alpha 90.00
_cell_angle_beta 90.00
_cell_angle_gamma 90.00
_space_group_name_H-M_alt 'P 4/n m m'
_space_group_IT_number 129
loop_
_space_group_symop_operation_xyz
'x,y,z'
'-x,-y,-z'
'-y+1/2,x,z'
'y+1/2,-x,-z'
'-x+1/2,-y+1/2,z'
'x+1/2,y+1/2,-z'
'y,-x+1/2,z'
'-y,x+1/2,-z'
'x+1/2,-y,-z'
'-x+1/2,y,z'
'-y,-x,-z'
'y,x,z'
'-x,y+1/2,-z'
'x,-y+1/2,z'
'y+1/2,x+1/2,-z'
'-y+1/2,-x+1/2,z'
loop_
_atom_site_label
_atom_site_fract_x
_atom_site_fract_y
_atom_site_fract_z
_atom_site_occupancy
Th1 0.2500 0.2500 0.1539 1
Ag1 0.2500 0.7500 0.5000 1
P1 0.2500 0.2500 0.7023 1
O1 0.2500 0.7500 0.0000 1
```

=====

(3)
The following is a PBE calculation of an optimized crystal structure of Th2AgP2O, from Materials Project.

Output
The calculated density is 6.47 g/cm3. The calculation puts the formation energy at -0.33 eV per atom.

```
data_Th2AgP2O
_chemical_formula_sum 'Th2 Ag1 P2 O1'
_cell_length_a 3.3854
_cell_length_b 3.3854
_cell_length_c 14.5459
_cell_angle_alpha 90.00
_cell_angle_beta 90.00
_cell_angle_gamma 90.00
_space_group_name_H-M_alt 'P 4/m m m'
_space_group_IT_number 123
_space_group_name_Hall '-P 4 2'
loop_
_atom_site_label
_atom_site_fract_x
_atom_site_fract_y
_atom_site_fract_z
_atom_site_occupancy
Th1 0.0000 0.0000 0.1466 1
Ag1 0.0000 0.0000 0.5000 1
P1 0.0000 0.0000 0.3367 1
O1 0.0000 0.0000 0.0000 1
```

=====

(4)
The following is a PBE calculation of an optimized crystal structure of ZnAg3P3O13, from Materials Project.

Output
The calculated density is 4.22 g/cm3. The calculation puts the formation energy at -1.62 eV per atom.

```
data_ZnAg3P3O13
_chemical_formula_sum 'Zn2 Ag6 P6 O26'
_cell_length_a 7.8872
_cell_length_b 6.4457
_cell_length_c 10.7735
_cell_angle_alpha 90.00
_cell_angle_beta 97.04
_cell_angle_gamma 90.00
_space_group_name_H-M_alt 'P 1 21/m 1'
_space_group_IT_number 11
loop_
_space_group_symop_operation_xyz
'x,y,z'
'-x,-y,-z'
'-x,y+1/2,-z'
'x,-y+1/2,z'
loop_
_atom_site_label
_atom_site_fract_x
_atom_site_fract_y
_atom_site_fract_z
_atom_site_occupancy
Zn1 0.1045 0.2500 0.1441 1
Ag1 0.1715 0.2500 0.7803 1
Ag2 0.2448 0.7500 0.4340 1
Ag3 0.5000 0.0000 0.0000 1
P1 0.1687 0.7500 0.1182 1
P2 0.2391 0.7500 0.7570 1
P3 0.2752 0.2500 0.4988 1
O1 0.0006 0.2500 0.9694 1
O2 0.1121 0.5716 0.7818 1
O3 0.1116 0.7500 0.2531 1
O4 0.1224 0.2500 0.5786 1
O5 0.2504 0.0680 0.4026 1
O6 0.2657 0.5408 0.1079 1
O7 0.3072 0.7500 0.6302 1
O8 0.3898 0.2500 0.9084 1
O9 0.3974 0.7500 0.8565 1
O10 0.4402 0.2500 0.5868 1
```

=====

(5)
The following is a PBE calculation of an optimized crystal structure of AgPbO3, from Materials Project.

Output